_Work order_
Search the listing below for the word "in" and transcribe each line that has it.

_Excerpt_
'''
CH3BrNO2 | ωB97M-V with the def2-TZVPD basis set

Structure (XYZ):
```
8
Properties=species:S:1:pos:R:3:forces:R:3
C -1.044628 -0.284746 0.081134 -0.7049 5.0485 1.0962
N 1.130392 0.813829 0.284303 -0.9924 1.6406 -1.6343
O 0.847290 1.268515 -0.800264 0.3002 -1.2343 2.4913
O 0.025801 0.003090 0.931152 0.8862 -0.0182 -0.4453
Br 2.867742 -0.942704 -0.110486 0.5891 -0.7191 -0.1681
H -1.914190 -0.342505 0.823527 0.6632 0.3562 -1.6379
H -0.941480 -1.125574 -0.465533 0.5303 -3.2264 -1.5427
H -0.970926 0.610092 -0.743830 -1.2718 -1.8473 1.8408
```
Positions in Å, forces in eV/Å.

Summary:
* ΔE to the lowest compared entry with this formula, charge and spin: 1.679 eV
* F_max: 5.214 eV/Å
* net charge: -1

~~~~~

Density functional theory data (ωB97M-V/def2-TZVPD) for a single C2H8N4S molecule at a distorted geometry.

Results
**Net charge**: 0
**Highest occupied orbital energy**: -0.29568 Eh
**SMILES string**: CN/C(=N\N)NS
**F_max**: 2.76 eV Å⁻¹
**Gap between HOMO and LUMO**: 8.780 eV
**ΔE to the lowest compared entry with this formula, charge and spin**: 31.3 kJ/mol

CARTESIAN COORDINATES (ANGSTROEM)
C  -0.1612  1.6448  -0.2225
N  0.0463  0.6505  0.8238
C  0.1168  -0.6468  0.3948
N  -0.8326  -1.4178  -0.0735
N  -2.1032  -0.8407  -0.1631
N  1.3945  -1.2478  0.3684
S  2.8431  -0.4089  -0.0357
H  -0.3352  2.6154  0.2503
H  -1.0765  1.3481  -0.7133
H  0.6466  1.7583  -0.9623
H  0.8220  0.8626  1.4279
H  -2.5196  -0.6048  0.7362
H  -2.7249  -1.5505  -0.5590
H  1.3303  -2.1860  0.0378
H  2.5535  0.0235  -1.3099

Results of the natural (NBO) charge analysis, in e, for atoms 1 through 8: atom 1 (C): -0.417, atom 2 (N): -0.650, atom 3 (C): 0.517, atom 4 (N): -0.357, atom 5 (N): -0.679, atom 6 (N): -0.766, atom 7 (S): 0.172, atom 8 (H): 0.202

***

Density functional theory data (ωB97M-V/def2-TZVPD) for a single C2H8N6 molecule at a distorted geometry.

Results
**Net charge**: 0
**Highest occupied orbital energy**: -0.30845 Eh
**SMILES string**: Cn1nn[nH]n(C)[nH]1
**F_max**: 4.08 eV Å⁻¹
**Gap between HOMO and LUMO**: 9.271 eV
**ΔE to the lowest compared entry with this formula, charge and spin**: 623.4 kJ/mol

CARTESIAN COORDINATES (ANGSTROEM)
C  0.8890  -2.1294  0.5441
N  1.0265  -1.0327  -0.5313
N  2.1636  0.0141  -0.0740
N  1.8006  1.1464  0.1864
N  0.5483  1.5450  0.2594
N  -0.5448  0.6680  0.2985
C  -1.7111  1.2818  -0.2777
N  -0.1088  -0.3553  -0.8354
H  1.4355  -2.9615  0.1488
H  1.1456  -1.7035  1.6001
H  -0.1351  -2.3758  0.5256
H  0.3295  2.4638  0.2657
H  -1.4914  2.0660  -0.9687
H  -2.2321  0.4971  -0.6862
H  -2.2706  1.8831  0.5195
H  -0.8449  -1.0071  -0.9749

Results of the natural (NBO) charge analysis, in e, for atoms 1 through 8: atom 1 (C): -0.449, atom 2 (N): -0.168, atom 3 (N): -0.068, atom 4 (N): 0.000, atom 5 (N): -0.285, atom 6 (N): -0.176, atom 7 (C): -0.427, atom 8 (N): -0.363

***

Density functional theory data (ωB97M-V/def2-TZVPD) for 3 unconnected molecules or ions with the total composition C2H8N6 at a distorted geometry.

Results
**Net charge**: 0
**Highest occupied orbital energy (spin up / spin down)**: -0.27341 / -0.27352 Eh
**F_max**: 4.29 eV Å⁻¹
**Gap between HOMO and LUMO (spin up / spin down)**: 6.715 / 6.720 eV
**ΔE to the lowest compared entry with this formula, charge and spin**: 395.8 kJ/mol

CARTESIAN COORDINATES (ANGSTROEM)
C  0.5919  -0.8712  -1.1196
N  -0.4005  -1.7908  -0.9078
N  1.1231  -0.3334  0.0932
N  1.7029  0.8782  0.1761
N  1.0745  -0.6616  -2.2766
H  -1.1051  -1.5630  -0.2128
H  -0.7407  -2.2087  -1.7590
H  2.1780  1.1130  -0.6969
H  1.8866  -0.0526  -2.2791
N  -0.5844  1.6757  1.3253
C  -1.1125  0.5212  1.4067
N  -2.0528  -0.2465  1.2027
H  -0.7206  2.4547  1.9478
H  0.6284  1.6803  0.6430
H  -2.9928  -0.0556  1.5400
H  0.5237  -0.5397  0.9172

Results of the natural (NBO) charge analysis, in e, for atoms 1 through 8: atom 1 (C): 0.544, atom 2 (N): -0.834, atom 3 (N): -0.411, atom 4 (N): -0.671, atom 5 (N): -0.764, atom 6 (H): 0.400, atom 7 (H): 0.399, atom 8 (H): 0.350

***
'''

_Result_
Positions in Å, forces in eV/Å.
Results of the natural (NBO) charge analysis, in e, for atoms 1 through 8: atom 1 (C): -0.417, atom 2 (N): -0.650, atom 3 (C): 0.517, atom 4 (N): -0.357, atom 5 (N): -0.679, atom 6 (N): -0.766, atom 7 (S): 0.172, atom 8 (H): 0.202
Results of the natural (NBO) charge analysis, in e, for atoms 1 through 8: atom 1 (C): -0.449, atom 2 (N): -0.168, atom 3 (N): -0.068, atom 4 (N): 0.000, atom 5 (N): -0.285, atom 6 (N): -0.176, atom 7 (C): -0.427, atom 8 (N): -0.363
Results of the natural (NBO) charge analysis, in e, for atoms 1 through 8: atom 1 (C): 0.544, atom 2 (N): -0.834, atom 3 (N): -0.411, atom 4 (N): -0.671, atom 5 (N): -0.764, atom 6 (H): 0.400, atom 7 (H): 0.399, atom 8 (H): 0.350